Wednesday, July 29, 2009

Next to Normal : Natalie

Drawing I just finished of  Jennifer Damiano as Natalie in Next To Normal. I have to urge to do a small series on the rest of the cast. 

Tuesday, July 28, 2009

Broadway & Photography : Gillian Laub

This is one of my favorite series centered around Broadway. It captures a day in life of Patti Lupone on her last nigh in Gypsy.  Gillian capture the whole experience for the fans to see. Moments on fans wish they could be there for. Gillian delicately capture each moment perfectly all showing a different yet important emotion.He doesn't need text to bring us through the day brought. We experience intimate moment  with Lupone and her cast mate and friends. ad the heartbreak of a show closing but also the celebration once the curtain comes down and fans are the waiting to great her. Gillians images are beautifully composed, the color is muted and balanced throughout the series and each image progresses the story. His images look to be more art photographs than the usual event photography and some might be even film which would be amazing and make my day! This series is simply amazing and wishing he will continue shooting in the theatre world!

Sunday, July 26, 2009

7 23 09 Next to Normal

Day after day,

Wishing all our cares away.

Trying to fight the things we feel,

But some hurts never heal.

Some ghost are never gone,

But we go on,

We still go on

And you find some way to survive

And you find out you don't have to be happy at all,

┌──
## Pr3ZnGa2 (GGA-PBE)

Data for an optimized crystal structure of Pr3ZnGa2.

a = 5.2669 Å, b = 5.2669 Å, c = 12.9198 Å
α = 90.00°, β = 90.00°, γ = 120.00°
Closest atoms and distances in Å follow each position.
Element x y z (fractional)
Pr 0.0000 0.0000 0.2499  5 Ga 3.21-3.23, 3 Zn 3.22
Pr 0.0000 0.0000 0.7501  5 Ga 3.21-3.23, 3 Zn 3.22
Pr 0.3333 0.6667 0.4166  1 Zn 3.22, 7 Ga 3.23-3.27
Pr 0.3333 0.6667 0.9171  4 Ga 3.19-3.22, 4 Zn 3.23-3.24
Pr 0.6667 0.3333 0.0829  4 Ga 3.19-3.22, 4 Zn 3.23-3.24
Pr 0.6667 0.3333 0.5834  1 Zn 3.22, 7 Ga 3.23-3.27
Zn 0.3333 0.6667 0.1675  8 Pr 3.22-3.24
Zn 0.6667 0.3333 0.8325  8 Pr 3.22-3.24
Ga 0.0000 0.0000 0.0000  8 Pr 3.22-3.23
Ga 0.0000 0.0000 0.5000  8 Pr 3.23
Ga 0.3333 0.6667 0.6700  8 Pr 3.19-3.27
Ga 0.6667 0.3333 0.3300  8 Pr 3.19-3.27

Calculated values
**DFT total energy**: -48.92 eV/cell
**Size of the total moment**: 0.00 Bohr magnetons per cell
**Calculated formation energy**: -0.4655 eV per atom



## LaCd3B (GGA-PBE)

Data for an optimized crystal structure of LaCd3B.

a = 4.8158 Å, b = 4.8158 Å, c = 4.8158 Å
α = 90.00°, β = 90.00°, γ = 90.00°
Closest atoms and distances in Å follow each position.
Element x y z (fractional)
La 0.0000 0.0000 0.0000  12 Cd 3.41
Cd 0.0000 0.5000 0.5000  2 B 2.41
Cd 0.5000 0.0000 0.5000  2 B 2.41
Cd 0.5000 0.5000 0.0000  2 B 2.41
B 0.5000 0.5000 0.5000  6 Cd 2.41

Calculated values
**DFT total energy**: -12.77 eV/cell
**Size of the total moment**: 0.00 Bohr magnetons per cell
**Calculated formation energy**: 0.3158 eV per atom



## Ac2Zn2Pd5Pb (GGA-PBE)

Data for an optimized crystal structure of Ac2Zn2Pd5Pb.

a = 10.3148 Å, b = 10.3148 Å, c = 3.9193 Å
α = 90.00°, β = 90.00°, γ = 90.00°
Closest atoms and distances in Å follow each position.
Element x y z (fractional)
Ac 0.1821 0.3179 0.0000  3 Zn 2.99-3.12, 6 Pd 3.28-3.30
Ac 0.3179 0.8179 0.0000  3 Zn 2.99-3.12, 6 Pd 3.28-3.30
Ac 0.6821 0.1821 0.0000  3 Zn 2.99-3.12, 6 Pd 3.28-3.30
Ac 0.8179 0.6821 0.0000  3 Zn 2.99-3.12, 6 Pd 3.28-3.30
Zn 0.1127 0.6127 0.0000  6 Pd 2.56-2.65
Zn 0.3873 0.1127 0.0000  6 Pd 2.56-2.65
Zn 0.6127 0.8873 0.0000  6 Pd 2.56-2.65
Zn 0.8873 0.3873 0.0000  6 Pd 2.56-2.65
Pd 0.0000 0.5000 0.5000  4 Zn 2.56
Pd 0.0652 0.7791 0.5000  2 Zn 2.65, 1 Pd 2.96
Pd 0.2209 0.0652 0.5000  2 Zn 2.65, 1 Pd 2.96
Pd 0.2791 0.5652 0.5000  2 Zn 2.65, 1 Pd 2.96
Pd 0.4348 0.2791 0.5000  2 Zn 2.65, 1 Pd 2.96
Pd 0.5000 0.0000 0.5000  4 Zn 2.56
Pd 0.5652 0.7209 0.5000  2 Zn 2.65, 1 Pd 2.96
Pd 0.7209 0.4348 0.5000  2 Zn 2.65, 1 Pd 2.96
Pd 0.7791 0.9348 0.5000  2 Zn 2.65, 1 Pd 2.96
Pd 0.9348 0.2209 0.5000  2 Zn 2.65, 1 Pd 2.96
Pb 0.0000 0.0000 0.0000  8 Pd 3.08
Pb 0.5000 0.5000 0.0000  8 Pd 3.08

Calculated values
**DFT total energy**: -92.93 eV/cell
**Size of the total moment**: 0.00 Bohr magnetons per cell
**Calculated formation energy**: -0.6029 eV per atom



## CeSc2Si (GGA-PBE)

Data for an optimized crystal structure of CeSc2Si.

a = 4.4756 Å, b = 4.4756 Å, c = 4.2472 Å
α = 90.00°, β = 90.00°, γ = 90.00°
└──

To be happier alive.

Day after day,

Give me clouds, and rain and gray.

Give me pain, if that's what's real.     

It's the price we pay to feel.

The price of love is loss,

But still we pay.

We love anyway.

I have been following this show since its "Feeling Electric" days and have been dying to see it ever since. I am still kicking my self for not seeing it when Amy Spanger was involved. I would love to see her in a more serious role rather than another funny eighties chick. I have been putting off seeing the show simply because of my own childhood, growing up with 
a mother that resembles Diana. I listen to the cast recording constantly and i decided it was finally time for me to suck it up and see it. 

We ended up getting standing room (luckily there was no height restriction like WSS), I wasn't crazy about the idea of standing during this show but I was excited none the less. 

7 30 finally came around and we were inside the Booth Theatre. I have never been there and I must say it is a lot different than other theatre. It is tiny and warm and fit perfectly with the show. I also love the downstairs lounge, adorable! we took out 117 and 119 standing room spots. We had clear clear yet the top of the stage was cut off from the balcony but what can you expect when you pay only 26 dollars. The show began and I was already nervous I wouldn't be able to take it but fell in love with it from the start.

 Alice Ripley was incredible, I mean don't even think i have to say that since it is known shes
 incredible and now a well deserved Tony Award Winner.
 She made me love Diana even with her flaws and was not expecting that at all. I thought I was going to go in knowing her character having lived with someone like her. Ripley made Diana funny, vulnerable and real. I left thinking that even with her troubles she is still just person and needs people to listen and be there for her. I felt sorry for Diana at times and made me re-time a few thing in my life. Ripley is an incredible singer and just as good of an actress. 

Jennifer Damiano was also amazing. It was great having seen her in Spring Awakening and now a featured actress. She played such a real normal young
 girl just trying to make it out her house and onto college. I think many kid can relate to her character trying to impress and live up to your parents standards and having there life an problems carry over onto yours. I def related most to Natalie being scared you will one day end up like you mother who doesn't think about that. Jennifer had the teen angst but you also felt for her because most of the problems she was dealing with was not her fault at all. Damianos acting I felt out shinned her singing at some parts but it could have just been a off night or sound problems but for such a young girl she was terrific and so was her co star Adam Chanler Berat. Henry is just such a likable character and was pulling for him throughout the whole show. 

J.Robert Spencer and Kyle Dean Massey were also incredible, lets just say the whole cast was. I don't have one single bad thought on any of them. This show is about the struggles of a family. Its not your normal happy ending musical. It is much more than that. The set was shockingly beautiful, I will admit seeing photos I was in love with the art work or the Warhol looking graphic on stage such as the eyes but now seeing it in the show. I love it. It works so well with the feeling of the show and the lighting was the best Ive seen. It felt like concert lighting at times but than transitions between scenes or feelings the color background would drop and silhouette the performers it was beautiful! 

few high lights for me was Super boy and  the Invisible Girl, a favorite song and just a personal connection with how Natalie was feeling. Make up Your Mind/ Catch Me I'm fall, I Dreamed a Dance, Song of Forgetting, You Don't Know Reprise, light were just a few of my favorites. 

Why Stay was possibly my favorite part. When you saw both couples dealing with there problems. I loved how both Diana and Natalie where doing the same choreography due to her being scared she will end up like her mother. simple and very effective!

The page is interrupted by calculated crystals.
********
Density functional theory data (GGA-PBE) for a geometry-optimized ZrNbNi structure.

## Properties
SG = I4mm (107)
V = 52.4 Å³/f.u.

Cell lengths 3.0804, 3.0804, 5.9319 Å; angles 105.05, 105.05, 90.00 degrees
Fractional positions:
Ni1 0.3198 0.3198 0.6395
Nb1 0.6886 0.6886 0.3771
Zr1 0.9917 0.9917 0.9834

Density functional theory data (GGA-PBE) for a geometry-optimized ZrNb2Ni structure.

## Properties
SG = Fm-3m (225)
V = 68.8 Å³/f.u.

Cell lengths 4.5999, 4.5999, 4.5999 Å; angles 60.00, 60.00, 60.00 degrees
Fractional positions:
Ni1 0.0000 0.0000 0.0000
Nb1 0.2500 0.2500 0.2500
Nb2 0.7500 0.7500 0.7500
Zr1 0.5000 0.5000 0.5000

Density functional theory data (GGA-PBE) for a geometry-optimized ZrNb3Ni structure.

## Properties
SG = Pm-3m (221)
V = 102.1 Å³/f.u.

Cell lengths 4.6738, 4.6738, 4.6738 Å; angles 90.00, 90.00, 90.00 degrees
Fractional positions:
Ni1 0.0000 0.0000 0.0000
Nb1 0.0000 0.5000 0.0000
Nb2 0.0000 0.0000 0.5000
Nb3 0.5000 0.0000 0.0000
Zr1 0.5000 0.5000 0.5000

In the order shown, the computed DFT formation energy values come out to -0.13 0.14 0.65 eV/atom.
In the order shown, the computed mass density values come out to 7.70 8.10 6.97 g/cm3.
In the order shown, the computed total magnetic moment values come out to 0.0 0.0 0.0 Bohr magnetons per cell.
********
Back to the page.

Overall I loved this show even if at some parts they were to close to comfort for me. I even felt I had said or thought a few of the same things Natalie was saying but in the end it was comforting to know there is a show out there that is addressing some more serious and could help people.
 I not use to seeing a show that was so much like my life. I tend to like shows that take me out of my life to escape for just two and half hours but Next to Normal was moving and I'm glad there is a musical out there like this!
I def plan to go back and have a seat next time. 

Saturday, July 25, 2009

Broadway in Bryants Park : Vanities, Rock of Ages, Mary Poppins & Wicked.

I always try to make it out to Bryants park at least once a year. This year I went to see Rock of Ages and Next to Normal which was disappointing that they switched with wicked but It will give me another reason to go back and Wicked ended up being a lot of fun to watch. I got to the lawn around 10:30 and was excited to see the lawn the same as it has in the past. Stage right in front of the fountain, white background displaying Broadway in Bryants park and its sponsors with rows filled with the green wooden chairs and tables. We took a seat in the fourth row but not for long after we found our rock of age group and moved up a row. All of just chatted and listened to show tunes in till the sound check. Not knowing many people who are into theatre its a nice change being surrounded by fans. Vanities came on first. Honestly I was the show i was least looking forward to, I did not know much about this show. All i knew was it had three cheerleaders involved but it ended up being the show i left wanting to see.

Lauren Kennedy, Annelise Van Der Pol, Sarah Stiles

The Vanities girls formed three catchy and wonderful songs all of which i wanted on my ipod right after. I dont want to miss a thing  was a sweet and funny song that showed the girls before they left for college, their idea of what will happen once they are there. They all had funny and pretty good southern accents and all three of them had terrific voices. "I want to cook but never clean" " i want to make a jello mold" just to lines that make laugh a bit from I dont want to miss a thing. Lauren Kennedy performedFly into the Future another catchy song and than she was joined with her cast mates for one more song which i think is titled I cant imagine ?. I must say i was very surprised how great Annelise Voice was only knowing her from the disney channel. 


 Jeremy Jordan, Savannah Wise


James Carpinello, Katherine Tokarz

Rock of Ages was up next. I love this cast! I went mostly to see them. I have seen the show numerous times and it is always a party. The show is a different kind of experience on Broadway. Most of who was there was understudies but I guess it Bryant’s Parks so that is expected. I was excited to see Savannah Wise and Jeremy Jordan together. I have seen both of them in the show separately but have felt they would work better than savannah and Constantine or Amy and Jeremy. Coming from an Amy fan, I was glad Savannah was the one who replaced Amy, she is a wonderful Sherrie a bit different than Amy, and she is more 

Innocent where Amy had more humor, Savannah more natural and she can belt, I find my self-missing her solo in the Heaven Medley. The only thing that throws me off is she looks a lot younger than Constantine. I think her and Jeremy seem around the same age and Jeremy is a great Drew. I would love to see them both together in the show. They both belted out High Enough and than James Carpinello took the stage to sing Dead or Alive with his ladies backing him up. I can watch him perform this many more times and it will still be great! He is always into and seems to love playing Stacee and the fans love him as someone in the audience screamed " I love you Stacee" Next up was Dont Stop believing where James got the crowd going and told everyone to sing along. I must say it was odd not seeing them dance and I looked like they wanted to. The fans and the cast would do bit of dancing during dont stop believing. It just happens, its catchy and fun! It was also great seeing Katherine Tokar sing Reginas Parts. I would love to see her in this role after seeing her in A chorus line. This is why I love Bryant’s Park it gives you a chance to see the understudies! 

Mary Poppins Cast

Mary Poppins was up next. I dont have much to comment on them. It not my kind of show or maybe it just works on stage with costumes and props but on a stage with just show tee shirts it made me wanting another show to come on. They all had good vocals, the kids were adorable,the choreography made me dizzy and confused.


Dee Roscioli, Kevin Kern

  Laura Woyasz

Wicked was the last to take the stage with the announcer stating it’s her favorite show on Broadway yet she miss pronounced not only the performers names but the characters also. It was a funny mistake. I love Wicked because even though I thought I grew out of this show when ever I hear or see any song from this song I feel like a little giddy twelve year old. This musical will never change for me. I love it. It was my second show I ever got into but I think probably any young girl that was into theatre fell in love with it. I was expecting to hear, Popular, which we did, Wizard and I and Defy Gravity but was surprise when they did As long as you’re mine. I have not see the show in year and haven’t been following since Eden Espinosa was on Broadway and knew nothing of who was currently in the cast. Laura Woyasz was a joy to watch she was a terrific Galinda! She had me and my friend singing along laughing and getting excited over little lines in song where we could act like galinda! She was wonderful and made me want to take a trip to the Gershwin! Dee Roscioli was elphaba for the concert. I will admit im the hardest on who ever is in this role. I am biased because after seeing Idina in the role for me its hard to imagine anyone else. I know I know it’s been years since she played the green girl and I should just see the show for what is now and I am. I thought Dee was pretty good better in the actual concert than the sound check. Her Wizard and I was good, her acting was what I like out of her performance. Kevin Kern was Fiyero was nice seeing him since his Wedding Singer days. As Long as your mine was sweet and they seem to have good chemistry together. Seeing Wicked again made me feel like I was listening to songs from my childhood. I know it hasn’t been that long but When I was into I didn’t know many shows and now if feel like the start of my Broadway interest. It was just good fun knowing all the words and small choreography and singing with my friend just brought me back. It was the nicest surprise of the day finding something from my past, which I still love.

Thought id make a blog with all my broadway/photo/random thoughts. It will be a good way to get out all my excitement or just thought without boring the people around me.